International Day Of Action Peace Rally April 12, Vancouver, BC
Vancouver, BC
The International Peace Movement is again gearing up for massive rallies. Vancouver, B.C. will play its part. Please help by distributing this announcement as broadly as possible.
Join us for
**Between two parts of the page: molecular data**
********
Run i
{
  "formula": "C30H90O30",
  "method": "the ωB97M-V functional and the def2-TZVPD basis",
  "e_lumo_ev": 0.09,
  "homo_lumo_gap_ev": 9.366,
  "charge": 0,
  "molar_mass_g_mol": 931.020,
  "symbols": ["C", "C", "O", "O", "H", "H", "H", "H", "H", "H", "C", "C", "O", "O", "H", "H", "H", "H", "H", "H", "C", "C", "O", "O", "H", "H", "H", "H", "H", "H", "C", "C", "O", "O", "H", "H", "H", "H", "H", "H", "C", "C", "O", "O", "H", "H", "H", "H", "H", "H", "C", "C", "O", "O", "H", "H", "H", "H", "H", "H", "C", "C", "O", "O", "H", "H", "H", "H", "H", "H", "C", "C", "O", "O", "H", "H", "H", "H", "H", "H", "C", "C", "O", "O", "H", "H", "H", "H", "H", "H", "C", "C", "O", "O", "H", "H", "H", "H", "H", "H", "C", "C", "O", "O", "H", "H", "H", "H", "H", "H", "C", "C", "O", "O", "H", "H", "H", "H", "H", "H", "C", "C", "O", "O", "H", "H", "H", "H", "H", "H", "C", "C", "O", "O", "H", "H", "H", "H", "H", "H", "C", "C", "O", "O", "H", "H", "H", "H", "H", "H"],
********
To Say :
" Stop the War on Iraq"
and call for
[1]
This record from the Open Molecules 2025 dataset describes an isolated molecule of C2H3N3O in a non-equilibrium geometry. The level of theory is the ωB97M-V functional and the def2-TZVPD basis.

```
9
Properties=species:S:1:pos:R:3:mulliken_charge:R:1
O -1.9651 -0.4875 0.1290 -0.491
C -0.6929 -0.1016 0.0687 0.582
N 0.1945 -0.9796 -0.3268 -0.598
C 1.3458 -0.2791 -0.2762 -0.083
N 1.2338 0.9671 0.1220 -0.631
N -0.1158 1.0764 0.3476 0.186
H -1.7854 -1.4014 -0.1799 0.403
H 2.2747 -0.7510 -0.5551 0.410
H -0.4897 1.9567 0.6709 0.223
```

As for the SMILES: Oc1ncn[nH]1. The calculation puts the HOMO-LUMO gap at 10.35 eV. The calculation puts the total energy at -317.5133 Ha. The HOMO energy comes out at -9.567 eV.



[2]
This record from the Open Molecules 2025 dataset describes an isolated molecule of C2H3N3O in a non-equilibrium geometry. The level of theory is the ωB97M-V functional and the def2-TZVPD basis.

```
9
Properties=species:S:1:pos:R:3:mulliken_charge:R:1
C -1.5990 0.1300 0.1076 0.218
C 1.1579 0.2517 0.0243 0.065
N -0.9132 1.2965 -0.1205 -0.380
N 0.3838 1.1867 -0.1719 -0.059
N -1.1699 -1.0592 0.2354 -0.543
O 2.3217 -0.2604 0.1831 -0.349
H -2.6327 0.4290 0.2857 0.333
H -0.2002 -1.1749 0.1265 0.310
H 2.6516 -0.7993 -0.6701 0.405
```

Its spin multiplicity is 3. The expectation value of S² is 2.04. The calculation puts the HOMO-LUMO gap (spin up / spin down) at 6.77 / 8.00 eV. The calculation puts the total energy at -317.2880 Ha. The HOMO energy (spin up / spin down) comes out at -6.702 / -10.124 eV.



[3]
This record from the Open Molecules 2025 dataset describes an isolated molecule of C2H3N3O in a non-equilibrium geometry. The level of theory is the ωB97M-V functional and the def2-TZVPD basis.

```
9
Properties=species:S:1:pos:R:3:mulliken_charge:R:1
C -0.5726 0.2488 0.0517 -0.132
C 1.9804 0.1405 -0.0799 0.441
N -0.6613 -0.9676 0.1114 0.032
N 0.9592 0.8963 0.0983 -0.311
N 0.2776 -1.7661 -0.0750 -0.457
O 3.0291 -0.3408 -0.0162 -0.445
H -1.2780 0.8927 -0.2910 0.398
H 0.9975 1.7194 -0.4522 0.253
H 0.1618 -2.5332 0.5773 0.222
```

Its spin multiplicity is 3. The expectation value of S² is 2.02. The calculation puts the HOMO-LUMO gap (spin up / spin down) at 5.68 / 8.88 eV. The calculation puts the total energy at -317.2860 Ha. The HOMO energy (spin up / spin down) comes out at -4.960 / -9.820 eV.



[4]
This record from the Open Molecules 2025 dataset describes an isolated molecule of C2H3N3O2 in a non-equilibrium geometry. The level of theory is the ωB97M-V functional and the def2-TZVPD basis.

```
10
Properties=species:S:1:pos:R:3:mulliken_charge:R:1
C -1.0484 -0.8812 -0.0215 0.119
C -0.2119 1.1915 -0.0304 0.569
H 1.8371 -0.3328 0.8605 0.277
H 1.9542 -0.2996 -0.7975 0.281
H -1.0406 -1.9806 0.1349 0.367
N 1.4365 -0.7054 -0.0278 -0.796
N 0.1059 -0.1654 -0.0823 0.281
N -2.0681 -0.1112 -0.0030 -0.348
O -1.5512 1.1996 -0.0445 -0.192
O 0.5866 2.0852 0.0114 -0.558
```
Peace and Justice in the Middle East
........
The following is a DFT calculation (ωB97M-V with the def2-TZVPD basis set) of a 2-piece molecular cluster, C10H18ClNOSi overall at a distorted geometry.

The value obtained for the relative energy (zero: lowest compared OMol25 entry of this formula, charge and spin) is 40.2 kcal per mole. As for the total energy: -34596.053 eV. The value obtained for the LUMO energy (alpha / beta) is -0.11 / -0.11 eV.

CARTESIAN COORDINATES (ANGSTROEM)
H -0.89860 -0.37861 -2.41101
H 3.77118 0.03339 -1.77948
H 2.57299 -1.21889 -1.70019
C 0.33080 0.74047 1.18821
C 1.91129 2.42342 -2.83493
H -0.12421 -0.15133 0.66406
H 3.20072 -0.55783 -0.13056
C -1.66217 -1.57159 2.87832
H 0.46534 -1.36387 -1.99478
C -2.24160 0.56483 2.09192
H 2.45574 1.91888 -3.66616
Si 1.39125 0.94368 -1.62158
C 0.20272 -0.37812 -2.31136
H 1.05508 2.88779 -3.26691
C -2.37228 -1.50778 0.77351
C 2.87141 -0.22313 -1.22163
C 0.62738 1.77653 0.00460
H 0.62326 -0.17288 -3.32793
H 2.52776 3.09516 -2.20815
O -0.28544 1.27149 2.24300
H 1.47993 2.44286 0.40114
H -2.59510 -1.04698 -0.14503
H -2.30890 -3.73500 0.52057
H -0.32168 2.43746 -0.08252
H 1.30864 0.50157 1.55631
Cl -2.82916 1.61612 0.87564
H -1.42893 -3.58186 3.21138
N -2.06394 -0.73346 1.86135
H -2.49538 0.77538 3.09653
C -1.70981 -2.86269 2.47254
C -2.22105 -2.80903 1.11588
H -1.23723 -1.13597 3.74728

The natural (NBO) scheme yields these atomic charges, measured in e:
1. H 0.24
2. H 0.23
3. H 0.23
4. C -0.07
5. C -1.06
6. H 0.14
7. H 0.26
8. C -0.04
9. H 0.23
10. C 0.24
11. H 0.23
12. Si 1.58
13. C -1.12
14. H 0.23
15. C -0.05
16. C -1.13
17. C -0.88
18. H 0.22
19. H 0.24
20. O -0.63
21. H 0.21
22. H 0.23
23. H 0.23
24. H 0.23
25. H 0.17
26. Cl 0.08
27. H 0.24
28. N -0.41
29. H 0.22
30. C -0.27
31. C -0.26
32. H 0.23


(1)
Below is a cluster of 2 separate species, C13H9ClNO2 in total, with properties calculated with wB97M-V/def2-TZVPD.

Calculated values
- Total charge: -1
- Frontier orbital gap: 5.69 eV
- Relative energy (zero: lowest compared OMol25 entry of this formula, charge and spin): 1.9 kcal per mole
- E: -31735.527 eV
- LUMO energy: 2.83 eV

```
26
Properties=species:S:1:pos:R:3:forces:R:3:lowdin_charge:R:1
Cl 6.17267 -0.75511 2.70277 1.206 -0.027 0.036 0.564
C 4.45908 -0.72043 2.68763 -1.425 0.039 -0.076 -0.767
C 3.73738 -1.93338 2.68728 0.288 0.842 0.193 -0.169
C 2.36133 -1.90515 2.61593 -0.363 0.689 -0.278 -0.059
C 1.64006 -0.65959 2.35313 0.862 -0.048 -0.033 -0.470
O 0.48113 -0.63388 1.86568 -0.232 -0.018 0.448 -0.103
C 2.41208 0.54949 2.62460 -0.371 -0.620 -0.301 -0.059
C 3.78822 0.52102 2.69016 0.257 -0.895 0.201 -0.169
H 4.27691 -2.88005 2.74637 -0.096 0.231 0.045 0.085
H 1.78378 -2.82179 2.64834 -0.003 -0.009 -0.188 0.084
H 1.87360 1.48901 2.65806 -0.009 0.032 -0.183 0.084
H 4.36510 1.44407 2.74609 -0.078 -0.194 0.057 0.085
C -3.49669 1.02655 -3.97230 0.169 0.025 0.036 -0.115
C -2.12276 1.33145 -3.88563 -0.627 -0.203 0.212 -0.098
C -1.43638 1.06990 -2.70604 -0.105 -0.073 0.047 -0.039
........
Saturday April 12th
Gather 12:00 p.m. Library Square
1.30 p.m. Rally at Vancouver Art Gallery
Speakers & Music tba
Stopwar.ca Endorsement List
City of Vancouver -City of Burnaby - BC Federation of Labour - Dr David Suzuki, Environmentalist - Anglican Diocese of New Westminster Justice and Peace Unit - Oxfam Canada - Physicians for Global Survival - Muslim Canadian Federation - Vancouver & District Labour Council - United Church of Canada - Campaign to End Sanctions Against the People of Iraq - Canadian Peace Alliance - CAW Canada - End the Arms Race - B.C. Government and Services Employees' Union - Coalition Against War on the People of Iraq - Canadian Federation of Students - Communist Party of Canada - Coalition of Progressive Electors - Veterans Against Nuclear Arms - New Democratic Party - Council of Canadians (Vancouver Chapter) - International Socialists - Justice Peace & Social Concerns Committee, Religious Society of Friends (Quakers) - Youth For A Better World - ADALA, Canadian Arab Justice Committee - Anti-Poverty Committee - AMS Women's Centre - Women's International League for Peace and Freedom (BC) - Coalition of Progressive Electors - Check Your Head - SFU Muslim Student Association - St Chiara Community - Vancouver Raging Grannies - Dr Fred Bass City Councilor - Hospital Employees Union - Vancouver Green Party - The Canadian Latin-American Collective - International Longshore Workers Union, Local 400 - Libby Davies MP - Svend Robinson MP - Stephen Owen MP - Tim Louis City Councilor - Lisa Barrett, Mayor Bowen Island - Michael Wallace, Professor Political Studies UBC - Bob Rosen, Past President Surrey Teachers Association - Adrienne Montani, Trustee VSB - Valerie Raoul, Professor Women's Studies & French - Lloyd Edwards, Past President of Surrey Teachers' Association - Vancouver Vigils - Communist Party of Canada, Marxist Leninist - Canadians Concerned About Free Trade - Jews For A Just Peace - Social Justice Committee Unitarian Church of Vancouver - Society Promoting Environmental Conservation - Palestine Solidarity Group -- Dan Chambers, United Church Minister - Canada Palestine Support Network - Council of Canadians, Mid Island Chapter - South Asian Network for Secularism and Democracy - Mennonite Central Committee - Workers Communist Party of Iran/Iraq - Women Elders in Action - Douglas College Student Union - Medical Students For Global Survival - Committee for Solidarity with Columbia - UBC Social Justice Club - Nursing Undergraduate Society - SFU Coalition to Stop the War - Philippine Women Centre of BC - Queers United Against Kapitalism - Canada Palestine Association - Trade Union Committee for Justice in the Middle East - Canadian Association of Sexual Assault Centers - Emily Carr Students Against the War Coalition - Direct Action Against Refugee Exploitation - International Society for Peace & Human Rights - Marginalized Workers Action League - Lawyers Against the War - Franciscan Sisters of the Attonement - Sunshine Coast Peace Group - Arab Palestine Association - Simon Frazer Student Society - New Socialist Group - The Fire This Time Movement for Social Justice - Happy Planet Foods - School of the Americas Watch, Kootenay Branch - Green Party (BC) - BC Committee for Human Rights in the Philippines - Filipino-Canadian Youth Alliance - Vancouver Non-Violence Training Collective - Council of Canadians (Richmond Chapter) - Salaamat -Bible Holiness Movement - Filipino Nurses Support Group - College and Institute Educators Association - Global and Societal Ministries BC Conference, United Church of Canada -Canada Colombia Solidarity Campaign - Direct Action Against Refugee Exploitation.- Senior Networks BC - Christian Task Force on Central America (BC) - BC Teachers Federation - Council of Canadians (BC) - Burnaby Civic Employees' Union, Local 23 CUPE - Trinity United Church (Kitsilano) Social Justice Group - Franciscan Sisters of Joy - Vida & Paz Columbia - Douglas College Faculty Association & Executive Council - Canada Asia Pacific Resource Network - Vancouver Secondary Teachers' Association - BC Association of Social Workers - Seniors on Guard for Medicare - Boundary Peace Initiative - Social Justice Committee of South Frazer Unitarian Congregation - International Alliance of Theatrical and Stage Employees, Local 891 Grassroots Women - Pacific Spirit Family & Community Services Society- Vancouver Catholic Worker - Chinese Refugees Rights Committee - Union of Spiritual Communities in Christ (Dukabors) - Writers Against the War - The Peace Walker Society - BC Synod-Evangelical Lutheran Church in Canada - Vancouver Community College Faculty Association - Vancouver Association of Chinese Canadians - "Solidarity Notes", VDLC Labour Choir - World Sikh Organization - Common Ground - B.C. Association for Learning & Preserving the History of WW 11 in Asia - Vancouver-Kingsway Provincial NDP Constituency Association - December 9 Coalition - Dunnett Classic Drums - Public Service Alliance of Canada, Local 60 - The Carnival Band - Moms on the Drive - International South Asia Forum.
For information or to join the coalition e-mail